Beef jerky is a delicious, low-fat, high-protein snack with a long shelf life.
So what are the tiny white specs you may be seeing on the surface of the meat? Is it mold or could it be something else? If it is mold, can it still be eaten? And how can you prevent this from happening in the future?
In this article, we will be answering all these questions and more, so keep reading!
Beef jerky can grow mold during curing, transportation, and at home if not stored properly. White, green, or black spider web-type growth is a clear indication of mold, and if found, the jerky should not be consumed.
Can jerky grow mold?
Beef jerky (like most foods), can indeed grow mold if the conditions it needs are met. Mold loves high humidity (55% and above), and dark environments with a lack of airflow and a source of nutrients.
Many types of mold can grow on cured meats, including white, green, and black strains, and in fact, in some preserved meats they are an essential component of the curing process.
The type of mold that could cause the most harm is black mold, and if this type is seen on your jerky, it is certainly best to throw it away, as it cannot safely be consumed.
Is the white stuff on beef jerky mold?
Whilst white mold is commonly found on persevered meats, it may not always be what you are seeing on your beef jerky.
To preserve the beef, curing salts are used to remove moisture, prolonging its shelf life. What you may be noticing are tiny white salt deposits on the surface of the meat. This is perfectly harmless and can be consumed.
Another white substance that can be mistaken for mold growth is fat. Beef has layers of fat running throughout the muscle fibers (called marbling), which is not only perfectly natural but enhances its flavor significantly.
What you may be seeing on the surface of your jerky, are small pockets of dried fat that have an off-white appearance. These are also perfectly safe to consume.
What does mold on jerky look like?
So, if there are substances that can be mistaken for mold, how can you be certain what you’re dealing with actually is mold in the first place?
The easiest way to tell comes from its texture. White mold has a powdery and fluffy appearance and can form in small asymmetrical clusters (sometimes similar to a spider web pattern). Green molds can also form this way.
Black, orange, and red molds also have a powdery texture and can form in circular patches, any signs of these types of mold mean that your jerky cannot be eaten and should be thrown away.
Why did your jerky become moldy?
There are several factors that mold needs to thrive, (as mentioned earlier in the article). If any of these conditions are met, either during the curing process, transportation or whilst storing at home, mold will certainly be able to accumulate on your beef jerky.
If recently purchased jerky is found to be moldy when you open the packet, you can be certain that the conditions to prevent mold during transportation or the curing process were not met, in which case, you can usually return the jerky to where you purchased it for a refund.
If instead, you find it has become moldy whilst it’s been in your home, then the way you stored the jerky is the number one culprit.
How to prevent jerky from going moldy
As poor storage conditions are the most likely cause of your jerky becoming moldy, this is the first place you should look to prevent it from happening again.
Mold needs moisture and a lack of airflow, so you need to store your jerky in the lowest humidity area of the kitchen you can find, preferably with some sort of vent. The areas of a kitchen with the highest humidity are usually located around the stove, where the kettle is kept, and near microwaves. If there are cupboards far away from these appliances, the humidity level will usually be lower.
If possible, store your jerky in a room of the house that is furthest from both the kitchen and bathroom. These are the rooms that are likely to have the lowest humidity and also tend to be cooler which will help to increase the shelf life of your jerky and prevent mold growth.
Mold also needs oxygen to grow, so storing it in an airtight container is a great first step to deny fungi the oxygen they require, however, you can go one step further by purchasing packs of oxygen absorbers to take the overall O2 levels below the point at which can grow.
How long does it take for jerky to grow mold?
Under the perfect circumstances, you can expect to begin to see mold formation begin within several days, to up to one week. Factors that can affect the speed of growth, are where and how the meat was hung, the humidity and temperatures of the location where the meat is stored, and the airflow of the room in which it is being cured.
Once cured, a sealed packet of jerky can last for up to one year as long as the packet remains unopened. However, if opened, and the humidity of the cupboard or room it is being stored in reaches 55% or higher, mold formation can begin within 24-48 hours.
Can you eat jerky with mold?
Molds found on jerky that has been purchased should not be consumed, as some strains can cause gastrointestinal discomfort and in immune-suppressed people, can cause severe allergic reactions.
White mold is commonly found on dried meat products, however, the strains of mold do not produce mycotoxins (more on this shortly). Once the jerky has been sold, if there is any mold found, it should be thrown away.
Any molds that have a black, orange, or red appearance can be considered to be toxic and therefore can cause severe reactions when consumed, so even more, care must be taken to ensure the jerky is mold free before consumption.
Is green mold on jerky bad for you?
Any signs of mold that has a greenish appearance should be taken as a signal to throw your jerky out. Whilst black mold is known to be toxic, green molds are also highly likely to cause digestive issues and potentially serious allergic reactions.
If you have accidentally eaten a very small amount of mold, (be it green or white), you may find that it doesn’t cause any effect, but no more should be consumed.
The confusion with this topic often comes about because during the meat curing processes of foods such as salami, certain strains of molds are encouraged to form as they actually help to cure the meat and enhance its flavor.
The difference here is that the molds that grow on these foods are specially selected, as they produce no mycotoxins, which are harmful toxins that can cause illness when consumed or inhaled.
These strains can often have a white or even green appearance but don’t be fooled into thinking that because of this the mold you found on your jerky is safe to eat, as many strains can have a similar appearance, but have very different properties. If you are uncertain in any way, you should throw the moldy jerky out.
What happens if I eat moldy jerky by mistake?
Very small amounts of green or white mold are unlikely to result in severe symptoms or gastrointestinal discomfort. However, even small amounts of black mold can cause severe reactions in some people.
The reality is that should you eat a piece of jerky without looking at it first, you will likely notice that it has a strange and unpleasant taste. If you then notice that the rest of the jerky in the packet also has mold, you should throw it away, but you may well not have any major symptoms from ingesting a very small amount, so there’s no real need to panic.
Can you get food poisoning from moldy beef jerky?
Mold can certainly make you Ill if you ingest it in high enough quantities, but it would not be classified as food poisoning, as this occurs when bacteria are ingested.
Instead, if mold has matured to the point of producing mycotoxins, and then been consumed, you are more likely to suffer from issues of the gut, stomach, and potentially even liver or kidney problems if the quantities were great enough.
For people that are allergic to certain strains of mold, there is also the possibility of itching, having a runny nose, coughing, and potential breathing problems in those with allergic asthma.
_Materials data from another source follow_
- - -
[1]
# CaGa4Ni6
Simulated X-ray powder pattern, Cu Kα X-rays. Input: a crystal structure in Alexandria, relaxed with PBE.
Peak positions follow from Bragg's law for the DFT cell and can differ from measured ones.

The 8 most intense peaks (2θ from 10° to 80°), most intense first:
d [Å]	two_theta	I_rel
2.340	38.5	1000
1.934	47.0	978
2.250	40.1	402
5.953	14.9	400
1.894	48.0	382
1.718	53.3	267
2.545	35.3	254
1.758	52.0	221

Cell lengths 6.873, 6.873, 3.788 Å; angles 90.00, 90.00, 120.00 degrees
Fractional coordinates of all 11 atoms:
Ca 0.000 0.000 0.000
Ga 0.198 0.396 0.500
Ga 0.198 0.802 0.500
Ga 0.604 0.802 0.500
Ga 0.667 0.333 0.000
Ni 0.069 0.535 0.000
Ni 0.415 0.208 0.500
Ni 0.465 0.535 0.000
Ni 0.465 0.931 0.000
Ni 0.792 0.208 0.500
Ni 0.792 0.585 0.500

***

[2]
# MgSiB
Simulated X-ray powder pattern, Cu Kα X-rays. Input: a crystal structure in Alexandria, relaxed with PBE.
Peak positions follow from Bragg's law for the DFT cell and can differ from measured ones.

The 8 most intense peaks (2θ from 10° to 80°), most intense first:
d [Å]	two_theta	I_rel
2.691	33.3	1000
2.143	42.2	703
2.665	33.6	486
1.715	53.4	396
2.176	41.5	368
2.087	43.4	329
1.711	53.5	197
1.345	69.9	147

Cell lengths 3.430, 3.430, 4.655 Å; angles 112.58, 112.58, 59.85 degrees
Fractional coordinates of all 3 atoms:
Mg 0.000 0.000 0.000
Si 0.501 0.501 0.508
B 0.200 0.200 0.600

***

[3]
# TmP2Pt7Pb2
Simulated X-ray powder pattern, Cu Kα X-rays. Input: a crystal structure in Alexandria, relaxed with PBE.
Peak positions follow from Bragg's law for the DFT cell and can differ from measured ones.

The 8 most intense peaks (2θ from 10° to 80°), most intense first:
d [Å]	two_theta	I_rel
2.455	36.6	1000
1.989	45.6	708
2.057	44.0	561
2.766	32.4	520
2.636	34.0	439
7.542	11.7	338
3.771	23.6	325
2.256	40.0	301

Cell lengths 15.343, 15.343, 15.343 Å; angles 165.10, 165.10, 21.13 degrees
Fractional coordinates of all 12 atoms:
Tm 0.000 0.000 0.000
P 0.385 0.385 0.000
P 0.615 0.615 0.000
Pt 0.072 0.572 0.500
Pt 0.309 0.309 0.000
Pt 0.428 0.928 0.500
Pt 0.500 0.500 0.000
Pt 0.572 0.072 0.500
Pt 0.691 0.691 0.000
Pt 0.928 0.428 0.500
Pb 0.211 0.211 0.000
Pb 0.789 0.789 0.000

***

Copy entry 1 word for word.
# CaGa4Ni6
Simulated X-ray powder pattern, Cu Kα X-rays. Input: a crystal structure in Alexandria, relaxed with PBE.
Peak positions follow from Bragg's law for the DFT cell and can differ from measured ones.

The 8 most intense peaks (2θ from 10° to 80°), most intense first:
d [Å]	two_theta	I_rel
2.340	38.5	1000
1.934	47.0	978
2.250	40.1	402
5.953	14.9	400
1.894	48.0	382
1.718	53.3	267
2.545	35.3	254
1.758	52.0	221

Cell lengths 6.873, 6.873, 3.788 Å; angles 90.00, 90.00, 120.00 degrees
Fractional coordinates of all 11 atoms:
Ca 0.000 0.000 0.000
Ga 0.198 0.396 0.500
Ga 0.198 0.802 0.500
Ga 0.604 0.802 0.500
Ga 0.667 0.333 0.000
Ni 0.069 0.535 0.000
Ni 0.415 0.208 0.500
Ni 0.465 0.535 0.000
Ni 0.465 0.931 0.000
Ni 0.792 0.208 0.500
Ni 0.792 0.585 0.500

* * * * *
- - -
_End of the materials data_
Does refrigerating jerky prevent mold?
Jerky does not need to be refrigerated, as it can be stored at room temperature for several weeks without issue as long as the above suggestions are used. However, an opened packet of jerky will require refrigeration to prevent the growth of bacteria.
Refrigerators have relatively high humidity levels, so mold will begin to grow if not stored correctly. To ensure mold does not grow, store the jerky in an air-tight container at the lowest point of the fridge or salad crisper, away from the back. If possible, place a few packets of silica gel in the container to absorb any moisture trapped within the container.
Your jerky should stay fresh and last anywhere from three to four weeks once refrigerated. Once the packet has been opened, remember that the flavors and texture will begin to fade.
Can freezing jerky prevent mold?
Absolutely, mold cannot grow in the temperatures found in freezers, so your jerky will stay fresh and edible for a considerable time in the freezer. It can be stored for up to one year safely if frozen.
An unopened packet can be frozen as it is, but jerky without a packet should be stored in an air-tight container to avoid it being damaged by freezer burn.
It’s important to note that whilst freezing your jerky will indeed increase its shelf-life considerably, it will also begin to lose its flavor and its texture will begin to deteriorate after a few months too.
How to tell if your jerky has gone bad
Beef jerky can become rancid and begin to grow mold if not stored correctly as described above.
You will be able to tell if your jerky has gone bad if:
1. There is a pungent, unpleasant aroma
2. Patches of mold have begun to form
3. The texture has become soft and mushy
Remember to consult the above paragraphs to determine whether or not your jerky is starting to deteriorate, or whether it is part of the natural process of salt crystal formation or pockets of fat.
Can moldy jerky be saved?
Unfortunately not, if you have inspected your jerky and found cobweb formation patches of white powdery substance forming on the surface, there is a high probability that mold has begun to form. If this is the case, the jerky should be thrown out and none consumed.
You may be tempted to try to save the remainder of the jerky left in the packet if there are no obvious signs of mold growth in the rest of the pack. This is best avoided, as spores can travel from one patch of the mold onto other pieces of jerky. These spores are not visible to the naked eye, so you may be consuming mold spores without your knowledge which could still make you ill.
From today’s article, you will have learned that beef jerky (and other types of jerky), can indeed grow mold. This is most commonly due to poor packaging, or poor storage once purchased. Moldy beef jerky should not be consumed as it can cause gastrointestinal issues.
If stored correctly, your beef jerky should last several weeks and can last up to one full year if frozen.